- - -
# Y4In20Ni11

A relaxed structure of Y4In20Ni11 (PBE-GGA, OQMD).

a b c (Å): 11.539 11.539 16.679
angles (deg): 123.88 123.88 21.67
Atoms (fractional coordinates):
In  0.202  0.202  0.003
In  0.398  0.398  0.008
In  0.010  0.010  0.095
In  0.628  0.628  0.196
In  0.936  0.936  0.210
In  0.247  0.247  0.291
In  0.389  0.389  0.309
In  0.541  0.541  0.377
In  0.885  0.885  0.449
In  0.297  0.297  0.498
In  0.703  0.703  0.502
In  0.115  0.115  0.551
In  0.459  0.459  0.623
In  0.611  0.611  0.691
In  0.753  0.753  0.709
In  0.064  0.064  0.790
In  0.372  0.372  0.804
In  0.990  0.990  0.905
In  0.602  0.602  0.992
In  0.798  0.798  0.997
Ni  0.136  0.136  0.103
Ni  0.347  0.347  0.121
Ni  0.506  0.506  0.194
Ni  0.747  0.747  0.383
Ni  0.978  0.978  0.400
Ni  0.500  0.500  0.500
Ni  0.022  0.022  0.600
Ni  0.253  0.253  0.617
Ni  0.494  0.494  0.806
Ni  0.653  0.653  0.879
Ni  0.864  0.864  0.897
Y  0.771  0.771  0.174
Y  0.119  0.119  0.331
Y  0.881  0.881  0.669
Y  0.229  0.229  0.826

The value obtained for the raw total energy is -152.3 eV/cell. Its density is 8.11 g cm⁻³. Its space-group type is C2/m. The magnetic moment is 0.0 Bohr magnetons per cell.

# HoLuPd

A relaxed structure of HoLuPd (PBE-GGA, OQMD).

a b c (Å): 6.956 4.797 8.658
angles (deg): 90.00 90.00 90.00
Atoms (fractional coordinates):
Ho  0.648  0.750  0.079
Ho  0.148  0.750  0.421
Ho  0.852  0.250  0.579
Ho  0.352  0.250  0.921
Lu  0.984  0.250  0.172
Lu  0.484  0.250  0.328
Lu  0.516  0.750  0.672
Lu  0.016  0.750  0.828
Pd  0.237  0.750  0.097
Pd  0.737  0.750  0.403
Pd  0.263  0.250  0.597
Pd  0.763  0.250  0.903

The value obtained for the raw total energy is -65.0 eV/cell. Its density is 10.26 g cm⁻³. Its space-group type is Pnma. The magnetic moment is 0.0 Bohr magnetons per cell. Its energy above the lowest structure with this stoichiometry is 0.014 eV/atom. The calculated formation energy comes out at -190 kJ/mol of formula units.

# Tb5YSe6

A relaxed structure of Tb5YSe6 (PBE-GGA, OQMD).

a b c (Å): 7.090 7.090 7.062
angles (deg): 99.64 99.64 120.13
Atoms (fractional coordinates):
Se  0.416  0.083  0.250
Se  0.083  0.416  0.250
Se  0.750  0.750  0.250
Se  0.250  0.250  0.750
Se  0.917  0.584  0.750
Se  0.584  0.917  0.750
Tb  0.667  0.333  0.000
Tb  0.333  0.667  0.000
Tb  0.833  0.167  0.500
Tb  0.500  0.500  0.500
Tb  0.167  0.833  0.500
Y  0.000  0.000  0.000

The value obtained for the raw total energy is -71.8 eV/cell. Its density is 7.79 g cm⁻³. Its space-group type is C2/m. The magnetic moment is 0.0 Bohr magnetons per cell.

# IrCl

A relaxed structure of IrCl (PBE-GGA, OQMD).

a b c (Å): 3.848 3.848 3.848
angles (deg): 60.00 60.00 60.00
Each line ends with the local moment (μB).
Atoms (fractional coordinates):
Cl  0.000  0.000  0.000  0.04
Ir  0.250  0.250  0.250  0.28

The value obtained for the raw total energy is -8.1 eV/cell. Its density is 9.38 g cm⁻³. Its space-group type is F-43m. The magnetic moment is 0.4 Bohr magnetons per cell. Its energy above the lowest structure with this stoichiometry is 0.251 eV/atom.

----------

No. 1
# ZnS

An optimized crystal structure of ZnS (GGA-PBE, the Alexandria database).

## Properties
Magnetic moment, μB per atom: 0.000
Uncorrected formation energy, eV per atom: -0.807
DFT total energy, eV per atom: -3.508
Space group: P6_3mc

a b c (Å): 3.850 3.850 31.454
angles (deg): 90.00 90.00 120.00
Fractional coordinates of all 20 atoms:
Zn 0.000 0.000 0.000
Zn 0.000 0.000 0.200
Zn 0.000 0.000 0.500
Zn 0.000 0.000 0.700
Zn 0.333 0.667 0.100
Zn 0.333 0.667 0.400
Zn 0.333 0.667 0.800
Zn 0.667 0.333 0.300
Zn 0.667 0.333 0.600
Zn 0.667 0.333 0.900
S 0.000 0.000 0.075
S 0.000 0.000 0.275
S 0.000 0.000 0.575
S 0.000 0.000 0.775
S 0.333 0.667 0.175
S 0.333 0.667 0.475
S 0.333 0.667 0.875
S 0.667 0.333 0.375
S 0.667 0.333 0.675
S 0.667 0.333 0.975

No. 2
# CeMgSiAu

An optimized crystal structure of CeMgSiAu (GGA-PBE, the Alexandria database).

## Properties
Magnetic moment, μB per atom: 0.171
- - -
Please set down the whole of the listing earlier on word for word.
# Y4In20Ni11

A relaxed structure of Y4In20Ni11 (PBE-GGA, OQMD).

a b c (Å): 11.539 11.539 16.679
angles (deg): 123.88 123.88 21.67
Atoms (fractional coordinates):
In  0.202  0.202  0.003
In  0.398  0.398  0.008
In  0.010  0.010  0.095
In  0.628  0.628  0.196
In  0.936  0.936  0.210
In  0.247  0.247  0.291
In  0.389  0.389  0.309
In  0.541  0.541  0.377
In  0.885  0.885  0.449
In  0.297  0.297  0.498
In  0.703  0.703  0.502
In  0.115  0.115  0.551
In  0.459  0.459  0.623
In  0.611  0.611  0.691
In  0.753  0.753  0.709
In  0.064  0.064  0.790
In  0.372  0.372  0.804
In  0.990  0.990  0.905
In  0.602  0.602  0.992
In  0.798  0.798  0.997
Ni  0.136  0.136  0.103
Ni  0.347  0.347  0.121
Ni  0.506  0.506  0.194
Ni  0.747  0.747  0.383
Ni  0.978  0.978  0.400
Ni  0.500  0.500  0.500
Ni  0.022  0.022  0.600
Ni  0.253  0.253  0.617
Ni  0.494  0.494  0.806
Ni  0.653  0.653  0.879
Ni  0.864  0.864  0.897
Y  0.771  0.771  0.174
Y  0.119  0.119  0.331
Y  0.881  0.881  0.669
Y  0.229  0.229  0.826

The value obtained for the raw total energy is -152.3 eV/cell. Its density is 8.11 g cm⁻³. Its space-group type is C2/m. The magnetic moment is 0.0 Bohr magnetons per cell.

# HoLuPd

A relaxed structure of HoLuPd (PBE-GGA, OQMD).

a b c (Å): 6.956 4.797 8.658
angles (deg): 90.00 90.00 90.00
Atoms (fractional coordinates):
Ho  0.648  0.750  0.079
Ho  0.148  0.750  0.421
Ho  0.852  0.250  0.579
Ho  0.352  0.250  0.921
Lu  0.984  0.250  0.172
Lu  0.484  0.250  0.328
Lu  0.516  0.750  0.672
Lu  0.016  0.750  0.828
Pd  0.237  0.750  0.097
Pd  0.737  0.750  0.403
Pd  0.263  0.250  0.597
Pd  0.763  0.250  0.903

The value obtained for the raw total energy is -65.0 eV/cell. Its density is 10.26 g cm⁻³. Its space-group type is Pnma. The magnetic moment is 0.0 Bohr magnetons per cell. Its energy above the lowest structure with this stoichiometry is 0.014 eV/atom. The calculated formation energy comes out at -190 kJ/mol of formula units.

# Tb5YSe6

A relaxed structure of Tb5YSe6 (PBE-GGA, OQMD).

a b c (Å): 7.090 7.090 7.062
angles (deg): 99.64 99.64 120.13
Atoms (fractional coordinates):
Se  0.416  0.083  0.250
Se  0.083  0.416  0.250
Se  0.750  0.750  0.250
Se  0.250  0.250  0.750
Se  0.917  0.584  0.750
Se  0.584  0.917  0.750
Tb  0.667  0.333  0.000
Tb  0.333  0.667  0.000
Tb  0.833  0.167  0.500
Tb  0.500  0.500  0.500
Tb  0.167  0.833  0.500
Y  0.000  0.000  0.000

The value obtained for the raw total energy is -71.8 eV/cell. Its density is 7.79 g cm⁻³. Its space-group type is C2/m. The magnetic moment is 0.0 Bohr magnetons per cell.

# IrCl

A relaxed structure of IrCl (PBE-GGA, OQMD).

a b c (Å): 3.848 3.848 3.848
angles (deg): 60.00 60.00 60.00
Each line ends with the local moment (μB).
Atoms (fractional coordinates):
Cl  0.000  0.000  0.000  0.04
Ir  0.250  0.250  0.250  0.28

The value obtained for the raw total energy is -8.1 eV/cell. Its density is 9.38 g cm⁻³. Its space-group type is F-43m. The magnetic moment is 0.4 Bohr magnetons per cell. Its energy above the lowest structure with this stoichiometry is 0.251 eV/atom.

----------

No. 1
# ZnS

An optimized crystal structure of ZnS (GGA-PBE, the Alexandria database).

## Properties
Magnetic moment, μB per atom: 0.000
Uncorrected formation energy, eV per atom: -0.807
DFT total energy, eV per atom: -3.508
Space group: P6_3mc

a b c (Å): 3.850 3.850 31.454
angles (deg): 90.00 90.00 120.00
Fractional coordinates of all 20 atoms:
Zn 0.000 0.000 0.000
Zn 0.000 0.000 0.200
Zn 0.000 0.000 0.500
Zn 0.000 0.000 0.700
Zn 0.333 0.667 0.100
Zn 0.333 0.667 0.400
Zn 0.333 0.667 0.800
Zn 0.667 0.333 0.300
Zn 0.667 0.333 0.600
Zn 0.667 0.333 0.900
S 0.000 0.000 0.075
S 0.000 0.000 0.275
S 0.000 0.000 0.575
S 0.000 0.000 0.775
S 0.333 0.667 0.175
S 0.333 0.667 0.475
S 0.333 0.667 0.875
S 0.667 0.333 0.375
S 0.667 0.333 0.675
S 0.667 0.333 0.975

No. 2
# CeMgSiAu

An optimized crystal structure of CeMgSiAu (GGA-PBE, the Alexandria database).

## Properties
Magnetic moment, μB per atom: 0.171